Exhaust gas is one of the threats affecting human health and the environment. Air pollution caused by fumes from car exhaust can directly affect the air we breathe and cause long-term and negative physiological effects. So is it possible to prevent all these exhaust emissions? Let’s take a look at detailed information about the effects of exhaust gases and air pollution on the ecosystem, the composition of exhaust gases and what can be done to reduce the impact of vehicles on the environment.
What are Exhaust Emissions?
Exhaust emissions, which are a mixture of different gases and particles emitted into the air when a vehicle engine is running, significantly degrade existing air quality, especially in large cities filled with different types of vehicles. The combinations of exhaust fumes and other particulates released into the atmosphere are also among the triggers of global warming. Emissions can include harmless chemicals such as oxygen, nitrogen and water, as well as more dangerous pollutants. CO2 is one of the most important of these pollutants, but there are others that are less well known.
What are Vehicle Exhausts and Pollutants?
Vehicles emit a powerful stream of exhaust emissions, many of which have harmful effects. But how well do we know the components of these exhaust emissions? Pollutants from vehicles include the following substances:
- Carbon dioxide (CO2): CO2, also known as greenhouse gas, is perhaps the most frequently cited component of climate change. Although it is non-toxic, it can cause acidification in the oceans.
- Carbon monoxide (CO): This invisible gas is produced by incomplete combustion of fuel and is toxic to humans. Most newer engines produce small amounts of carbon monoxide thanks to efficient combustion systems, but older engines can emit high levels.
- Nitrogen oxide (NOx): Nitrogen oxide produced in any combustion process is known for its reactive nature. However, it can cause smog when it comes into contact with other chemicals in the air.
- Sulfur dioxide (SO2): Sulfur dioxide, a colorless nitrogen that smells like burnt matches, is naturally occurring in the petroleum used to refine gasoline and diesel. When burned, it forms acids that cause engine corrosion and smoke.
These calculated crystals were left in the text by mistake >
-- begin --
# La3TbPmY

A relaxed structure of La3TbPmY (PBE, the Alexandria database).

Cell lengths 8.1476, 5.2255, 10.4215 Å; angles 90.00, 108.72, 90.00 degrees
With the nearest neighbours (Å) after each atom.
Space group P2_1/m (No. 11)
Asymmetric unit:
La  0.1671  0.2500  0.0435 (multiplicity 2)  3 Y 3.65-3.70, 1 Tb 3.66, 5 La 3.67-3.71, 3 Pm 3.68-3.70
La  0.1692  0.2500  0.5402 (multiplicity 2)  3 Tb 3.62-3.65, 1 Y 3.66, 3 Pm 3.67-3.71, 5 La 3.67-3.70
La  0.1703  0.7500  0.7916 (multiplicity 2)  3 Y 3.65-3.66, 1 Tb 3.65, 6 La 3.67-3.71, 2 Pm 3.71
Tb  0.5001  0.2500  0.3772 (multiplicity 2)  3 Pm 3.62-3.65, 5 La 3.62-3.66, 2 Tb 3.66, 2 Y 3.69
Pm  0.1702  0.7500  0.2933 (multiplicity 2)  3 Tb 3.62-3.65, 1 Y 3.62, 8 La 3.67-3.71
Y  0.4972  0.7500  0.1264 (multiplicity 2)  1 Pm 3.62, 7 La 3.65-3.70, 2 Tb 3.69, 2 Y 3.72

Summary:
DFT total energy ... -60.93 eV for the cell shown
Magnetic moment ... 0.00 μB/f.u.

* * * * *

# 1
! MgZr5Pt6, optimized geometry, DFT PBE; values from VASP
&SYSTEM
  ibrav = 0, nat = 12, ntyp = 3
/
ATOMIC_SPECIES
Zr 91.22 Zr.upf
Pt 195.08 Pt.upf
Mg 24.30 Mg.upf
ATOMIC_POSITIONS crystal
Zr 0.6358 0.6512 0.6977
Pt 0.5000 0.7768 0.0000
Pt 0.8330 0.0617 0.3382
Pt 0.5000 0.2232 0.0000
Zr 0.3213 0.8240 0.3519
Zr 0.3642 0.3488 0.3023
Zr 0.0000 0.5000 0.0000
Zr 0.6787 0.1760 0.6481
Mg 0.0000 0.0000 0.0000
Pt 0.1670 0.4000 0.6618
Pt 0.1670 0.9383 0.6618
Pt 0.8330 0.6000 0.3382
CELL_PARAMETERS angstrom
4.4127 -0.5248 1.0829
0.1484 6.6725 2.6269
1.4041 0.6373 8.0968
! **Formation energy**: -0.9432 eV per atom
! **Crystal system**: monoclinic
! **SG**: C2/m
! **Spin magnetization**: 0.00 μB per formula unit


# 2
! MgZr2Pt, optimized geometry, DFT PBE; values from VASP
&SYSTEM
  ibrav = 0, nat = 4, ntyp = 3
/
ATOMIC_SPECIES
Zr 91.22 Zr.upf
Mg 24.30 Mg.upf
Pt 195.08 Pt.upf
ATOMIC_POSITIONS crystal
Zr 0.0000 0.9591 0.9492
Mg 0.0000 0.6817 0.4887
Pt 0.5000 0.5779 0.7746
Zr 0.5000 0.2813 0.2874
CELL_PARAMETERS angstrom
4.4359 0.0000 0.0000
0.0000 3.2760 0.0123
0.0000 1.5887 5.5623
! **Formation energy**: -0.3896 eV per atom
! **Crystal system**: monoclinic
! **SG**: Pm
! **Spin magnetization**: 0.00 μB per formula unit


# 3
! Mg2ZrPt5, optimized geometry, DFT PBE; values from VASP
&SYSTEM
  ibrav = 0, nat = 8, ntyp = 3
/
ATOMIC_SPECIES
Mg 24.30 Mg.upf
Pt 195.08 Pt.upf
Zr 91.22 Zr.upf
ATOMIC_POSITIONS crystal
Mg 0.2514 0.2514 0.5029
Pt 0.8702 0.3702 0.7405
Mg 0.7486 0.7486 0.4971
Pt 0.6298 0.1298 0.2595
Pt 0.5000 0.5000 0.0000
Pt 0.1298 0.6298 0.2595
Pt 0.3702 0.8702 0.7405
Zr 0.0000 0.0000 0.0000
CELL_PARAMETERS angstrom
-0.4774 -3.5217 2.0303
4.0412 -0.1903 0.6201
-2.6147 5.7943 5.3104
! **Formation energy**: -0.9173 eV per atom
! **Crystal system**: tetragonal
! **SG**: I4/mmm
! **Spin magnetization**: 0.00 μB per formula unit


# 4
! MgZr2Pt, optimized geometry, DFT PBE; values from VASP
&SYSTEM
  ibrav = 0, nat = 8, ntyp = 3
/
ATOMIC_SPECIES
Zr 91.22 Zr.upf
Mg 24.30 Mg.upf
Pt 195.08 Pt.upf
ATOMIC_POSITIONS crystal
Zr 0.3750 0.3236 0.7500
-- stop --
End of the calculated crystals >
- Hydrocarbons (HC): HC, which are produced as unburned fuel due to reduced combustion quality, can be transmitted from the fuel tank you fill up at the gas station.
- Benzene (C6H6): Found naturally and in small amounts in gasoline and diesel, benzene is released from vehicle exhausts as unburned fuel. In addition to being a carcinogenic substance, it can cause serious harm to human health when inhaled at high levels.
- Particulates Diesel engines emit black soot and metal particles suspended in the air, known as particulate matter. In new generation vehicles, diesel particulate filters (DPF) can be preferred to prevent these harmful particles from being pumped into the atmosphere.
Effects of Exhaust Gases on Human Health
Pollutants from cars can cause health problems ranging from allergies and skin irritation to heart disease and respiratory problems such as asthma. According to the World Health Organization, repeated exposure to diesel exhaust fumes over long periods of time also increases the risk of lung cancer.
A blockage in your exhaust is known to put you at risk of carbon monoxide poisoning. Inhaling large amounts of CO can cause headaches, respiratory problems and even death. This puts children and people with heart disease in a high-risk profile.
Exposure to exhaust fumes varies widely, but people living in densely populated urban areas are the most likely to suffer from pollution-related health problems. So what can be done to change this situation? With small changes, both collectively and individually, it is possible to live in a cleaner and higher quality ecosystem.
How to Reduce the Impact of Vehicles on Air Pollution?
Unrelated to this article: records of crystals.
-- begin --
No. 1
8
Lattice="-3.190 3.190 6.352 3.190 -3.190 6.352 3.190 3.190 -6.352" Properties=species:S:1:pos:R:3 comment="TlHg3Se4 (PBE, optimized geometry)" raw_formation_energy_ev_per_atom=-0.19 dft_energy_ev_per_atom=-2.346 pbc="T T T"
Tl 0.000 0.000 0.000
Hg 3.190 0.000 3.176
Hg 0.000 0.000 6.352
Hg 0.000 3.190 3.176
Se 1.659 1.659 -1.644
Se 1.531 -1.531 7.995
Se 1.531 1.531 4.708
Se -1.531 1.531 7.995



No. 2
9
Lattice="-2.074 2.074 8.947 2.074 -2.074 8.947 2.074 2.074 -8.947" Properties=species:S:1:pos:R:3 comment="CePu2F6 (PBE, optimized geometry)" raw_formation_energy_ev_per_atom=-3.18 dft_energy_ev_per_atom=-8.274 pbc="T T T"
Ce 0.000 0.000 0.000
Pu 0.000 0.000 5.941
Pu 0.000 0.000 11.954
F 2.074 0.000 1.414
F 2.074 0.000 4.474
F 2.074 0.000 7.534
F 0.000 2.074 1.414
F 0.000 2.074 4.474
F 0.000 2.074 7.534



Repeat the second record exactly.
9
Lattice="-2.074 2.074 8.947 2.074 -2.074 8.947 2.074 2.074 -8.947" Properties=species:S:1:pos:R:3 comment="CePu2F6 (PBE, optimized geometry)" raw_formation_energy_ev_per_atom=-3.18 dft_energy_ev_per_atom=-8.274 pbc="T T T"
Ce 0.000 0.000 0.000
Pu 0.000 0.000 5.941
Pu 0.000 0.000 11.954
F 2.074 0.000 1.414
F 2.074 0.000 4.474
F 2.074 0.000 7.534
F 0.000 2.074 1.414
F 0.000 2.074 4.474
F 0.000 2.074 7.534
-- stop --
The records of crystals stop here.
There are smart solutions to reduce pollution from motor vehicles. These solutions range from everyday choices to the model of vehicle you drive. Reducing the amount of distance you drive is a good way to reduce air pollution from motor vehicles. Walking, cycling or using electric transportation for short distances and preferring options such as cars and buses for longer distances offer an effective solution to reduce air pollution.
In order to burn less fuel, hybrid models or fully electric vehicles are becoming an alternative. Fuel-efficient vehicles offer efficient use, significantly reducing air pollution and, as a bonus, saving you money! The way you drive can affect how much pollution comes from your vehicle. Even obeying the posted speed limits is an important formula for reducing air pollution and traveling safely.
-- Materials data from another source follow --
'''
Here is ZnS2NO after structural relaxation from Alexandria via LeMat-Bulk. Energies are from PBE.

Properties
The density of states at the Fermi level is 4.99 states/eV per cell. The calculation puts the energy above the most stable polymorph in this dataset at 0.287 eV/atom. The value obtained for the energy relative to the elements, uncorrected is 1.657 eV per atom. The value obtained for the volume is 17.69 Å³ per atom. Its crystal system is tetragonal.

Cell lengths 4.7854, 4.7854, 3.8636 Å; angles 90.00, 90.00, 90.00 degrees
With the nearest neighbours (Å) after each atom.
Space group P4/mmm (No. 123)
Symmetry-distinct sites (fractional):
Zn 0.0000 0.0000 0.0000  2 N 1.93
S 0.0000 0.5000 0.0000  2 Zn 2.39
N 0.0000 0.0000 0.5000  2 Zn 1.93
O 0.5000 0.5000 0.5000  8 S 3.08, 4 N 3.38
'''
-- So much for the materials data --
Electric Vehicles: The Future of Clean Transportation
With more cars, trucks and buses on the road every year, the amount of harmful pollutants released into the air is increasing, making the need for clean and sustainable transportation alternatives increasingly urgent. One promising solution to promote sustainable mobility that can significantly reduce emissions is electric transportation vehicles, which use electricity as their primary power source. And this electricity is generated from renewable sources such as solar or wind power! Besides being environmentally friendly, electric vehicles offer other benefits such as lower operating costs and reduced noise pollution. You can also switch to a clean energy source with BinBin and start trying a more sustainable and environmentally friendly way to get to any distance quickly with the wide location possibilities of electric scooters.